Tuesday 28 July 2009

Laser Love

This song by After The Fire has been buzzing round my head for a few months now. It is the title track of the album of the same name from about 1979. The words tell of how God's love searches deep into us, but does not let us go. God's love is like an xray into the depths of our lives, there is nothing that we can hide from Him, but still He loves us all the same. I look upon it as God's laser love is in effect part of our consciences. We know when we have done something wrong, or are about to. We get those pricks in our heads to tell us. God wants us to do things His way, He is separating all the wrong things from the right. He has the right way for us, but still gives us the freewill to choose whether to or not.

Laser Love

Your love is like a laser burning right into my life
You knowing my weaknesses you cut me like a knife
You're separating all the wrong things from the right

== These records of molecules were left in the page by mistake ==
~~~
# 1
Formula: C36H40OP2Re
Source: the OMol25 dataset
Level of theory: ωB97M-V with the def2-TZVPD basis set

**⟨S²⟩**: 3.773
**Relative energy (zero: lowest compared OMol25 entry of this formula, charge and spin)**: 4.739 eV
**Electronic energy**: -60710.914 eV
**Spin multiplicity**: 4
**E_HOMO (alpha / beta)**: -13.555 / -13.387 eV
**Maximum force**: 5.27 eV/Å
**Net charge**: +2
**E_LUMO (alpha / beta)**: -0.2325 / -0.3405 hartree

CARTESIAN COORDINATES (ANGSTROEM)
H (2.78, 0.43, 3.88)
C (-2.97, 2.87, -3.68)
C (0.38, -3.95, 4.14)
P (1.50, -0.45, 1.30)
C (2.76, 4.79, -2.45)
C (-1.80, -3.77, -1.13)
C (1.83, -0.82, -0.40)
C (-1.57, -1.09, -1.59)
C (4.51, -0.60, 1.20)
H (-1.06, -4.58, -0.95)
H (-3.61, -2.06, -2.53)
H (-4.79, -0.88, -2.18)
C (-1.28, 2.25, 1.24)
H (1.12, 3.69, -3.19)
H (0.09, -4.59, 5.00)
H (-4.35, -3.49, 1.23)
H (-5.51, -2.05, -0.26)
C (-1.95, 2.14, -4.28)
H (-0.94, -1.50, 2.24)
H (-3.95, 2.87, -4.11)
H (2.95, 2.30, 0.45)
H (-1.62, 2.00, 2.28)
C (3.35, -0.20, 1.90)
C (3.60, 0.35, 3.17)
C (-2.75, 3.56, -2.50)
C (-2.80, -0.57, -1.65)
H (-1.85, -3.28, 1.07)
C (1.18, -2.08, 2.22)
Re (-0.57, 0.50, 0.58)
C (1.70, -3.93, 3.69)
H (3.09, -3.02, 2.42)
C (2.09, -3.03, 2.73)
H (-2.96, 0.43, -2.01)
C (-0.71, 2.37, -2.24)
H (2.45, -1.69, -0.65)
H (-5.06, -3.25, -1.48)
C (5.79, -0.14, 1.58)
C (-0.14, -2.19, 2.61)
C (1.75, 2.86, -1.24)
C (-1.58, 3.34, -1.78)
C (2.83, 3.01, -0.34)
H (-3.49, 4.25, -2.09)
H (-2.07, 1.72, -5.27)
C (-3.84, -3.25, 0.26)
H (-4.16, -1.57, 1.90)
H (4.44, -1.33, 0.38)
C (3.67, 5.02, -1.42)
H (-4.50, -0.12, 1.07)
H (-2.56, -4.26, -1.75)
C (4.87, 0.78, 3.60)
H (-1.67, -3.25, 3.66)
P (0.45, 1.57, -1.00)
H (2.39, -4.65, 4.15)
C (1.82, 3.74, -2.37)
H (5.03, 1.26, 4.57)
H (4.32, 5.90, -1.44)
C (1.28, 0.00, -1.37)
H (6.69, -0.38, 0.98)
H (4.46, 4.25, 0.41)
C (-3.93, -1.40, -1.73)
C (3.72, 4.09, -0.38)
H (6.94, 0.97, 3.02)
C (-0.59, -3.16, 3.51)
C (-4.64, -2.52, -0.75)
H (1.31, -0.25, -2.43)
H (-1.38, -2.71, -2.91)
C (-0.79, 1.91, -3.56)
H (-3.76, -0.19, 2.73)
O (-2.42, -0.36, 1.13)
C (5.95, 0.59, 2.75)
C (-1.19, -2.57, -1.82)
C (-3.71, -0.55, 1.68)
H (-0.86, -0.49, -2.19)
H (-0.46, 2.98, 1.39)
H (-1.38, 3.88, -0.84)
H (2.77, 5.47, -3.32)
H (0.03, 1.36, -4.01)
C (-2.52, -3.48, 0.15)
H (-0.10, -2.63, -1.73)
H (-2.07, 2.82, 0.75)
~~~

It's like a laser laser love

Your love is like an x-ray there is nothing I can hide
You hold me to the light you see what is inside
It's all so clear when it's all there in black and white

Just like a laser laser love

Now and then I think about my life
Think about the way that it used to be
I was just a lonely boy standing in the cold until you sheltered me
Trying to find a way that I could do everything I want
And somehow still be free
Then you came along and told me how it really had to be

It's a laser love
It's a laser love
Just like a laser laser
Just like a laser laser love

Your love is like an optical illusion in a book
There's more than one way you can see it when you took
And when I saw it the world around me shook

Like a laser laser love

Your love is like a laser burning right into my life
You know my weakness you cut me like a knife
You're separating all the wrong things from the right

It's like a laser laser
It's like a laser laser
It's like a laser laser love

The clip below is a video slide show, which features the current line up, who are still touring at events such as Greenbelt. The drummer is the son of the guitarist. The "classic" line up split in the mid 1980's.

Saturday 25 July 2009

Shadow Play

I must admit that the first time I heard this song on the radio a few months ago, I thought it was either Dire Straits or Bruce Springsteen. Turns out it is by Rory Gallagher. Now I must also admit that I did not know too much about him either. At the Last PRATS meeting in Putney, in the customary CD swap lucky dip, I received a Best of Rory Gallagher CD. Some cracking songs on there so thanks to Tina for putting that one in the bag.

A lot of us are unsure what part we are to play in this game of life, and often we feel that things don't look the same. Most of us sometimes have to fight conflicting emotions, and maybe feel a little Dr Jekyll and a little Mr Hyde. For my part, I try to rely on my Christian faith to help guide me through life. I know that God has a plan for my life that is infinitely better than anything I could hope for. I just have to trust in His timing, and not to try and force the issue with my own agenda, as that is when things go wrong. This is in my experience easier said than done! I have to keep on trying though.

Shadow Play

In the flinty light, it's midnight,
And stars collide.
Shadows run, in full flight,
To run, seek and hide.
I'm still not sure what part I play,
In this shadow play, this shadow play.
Well, In the half-light, on this mad night,
I hear a voice in time.
Well, I look back, see a half-smile,
Then it's gone from sight.
Tell me, why everyone have changed,
In this shadow play, this shadow play,
I have to find my way,
In this shadow play.

Sounds come crashing,
And I hear laughing,
All those lights just blaze away.
I feel a little strange inside,
A little Dr Jekyll, a little Mr. Hyde.

Sounds come crashing,
And I hear laughing,
All those lights just blaze away.
I feel a little strange inside,
A little Dr. Jekyll, a little Mr. Hyde.

Thoughts run wild, free as a child,
Into the night.
Across the screen a thin beam,
Of magic light.

Tell me why things don't look the same,
In this shadow play, this shadow play,
I have to find my way,
In this shadow play.
I have to get away,
In this shadow play,
Well help me find my way,
In this shadow play,

The clip below was filmed at a concert at Middlesex Polytechnic in January 1979.

Monday 20 July 2009

Mr Howes - In Memorium

Attended the funeral of Mr Howes today in a standing room only filled Leckhampton Church. The tune to which the coffin was carried in was Changes by David Bowie. This was always played at the last assembly of an academic year, as pupils are about to leave juniors or go up a year. The coffin exited to the theme tune to the Archers. His family gave very moving tributes to him. The service hit just the right tone given the circumstances, and was an emotional occasion.

Rest In Peace Mr Howes.

Wednesday 15 July 2009

Mr Howes

My friend and teacher
Really funny

Helicopter enthusiast
Ongoing supporter
Willing to do stuff for you
Enthusiastic with others
Somebody who was there for you

The above poem is reproduced with the permission of the author, my 11 year old son. This was written on Monday morning, moments after the school were told of the tragic death of Mr Howes. He was not only my son's favourite teacher, but in my opinion the most caring teacher I have ever met, either as a pupil or parent. Rest In Peace Mr Howes, I hope that you have now found the peace that you were searching for.

Sunday 12 July 2009

Thunder - More Than A Weather Condition

It is also the name of one of the hardest working, and most under rated bands of the last twenty years. They are just completing their farewell tour. For those old enough to remember, they formed in 1989 out of the ashes of Terraplane. I only got into them about two years ago, and was thinking really must see them some time. When they announced that they were calling it a day, I thought well it's now or never. Saw them at Wolverhampton Civic Hall on Friday, with some good friends from the Planet Rock Forum. It was an awesome display of rock at it's best. Thanks guys for the music and the memories.

I have chosen to use a clip of my favourite track, I love you more than rock and roll, as recorded on this tour in Glasgow.

Thanks for letting me go Megan, The title refers to how I feel about you to!!!